~~~
Record 1
Molecular formula: C38H25Cl3KN7OS3
Method: DFT, ωB97M-V/def2-TZVPD

```
78
Properties=species:S:1:pos:R:3:mulliken_charge:R:1
K -0.3448 0.0032 0.2482 0.906
C 1.2747 -3.9721 1.6420 -0.808
C 0.5980 -2.8485 1.1232 0.006
N 1.1957 -1.9497 0.3828 -0.150
C 2.5185 -2.0480 0.1148 0.070
C 3.2829 -3.1265 0.6093 1.591
C 2.6064 -4.1047 1.3750 -0.670
C 4.6841 -3.1669 0.3905 -0.891
C 5.2737 -2.1188 -0.2561 -1.166
C 4.5331 -1.0329 -0.7608 -0.664
C 3.1410 -0.9602 -0.6466 -0.130
N 2.2966 0.0152 -1.0576 0.298
C 2.5654 1.0388 -1.8675 -0.065
C 3.7160 1.3178 -2.6379 -0.764
C 3.8555 2.5058 -3.3694 -0.802
C 2.8971 3.4868 -3.3906 -0.725
C 1.6648 3.2289 -2.7344 1.899
C 0.5680 4.1213 -2.7856 -1.031
C -0.6343 3.7743 -2.2344 -0.715
C -0.7461 2.5104 -1.6223 -0.309
N 0.2678 1.6902 -1.5120 -0.263
C 1.4717 2.0145 -2.0342 0.023
H 0.7404 -4.6938 2.2458 0.411
H -0.4597 -2.6848 1.3371 0.224
H 3.1724 -4.9451 1.7643 0.364
H 5.2637 -4.0018 0.7672 0.343
H 6.3508 -2.1135 -0.3903 0.341
H 5.0789 -0.2186 -1.2075 0.355
H 4.5047 0.5872 -2.7075 0.483
H 4.7744 2.6554 -3.9299 0.267
H 3.0350 4.4096 -3.9420 0.325
H 0.6935 5.0719 -3.2951 0.390
H -1.4916 4.4333 -2.2830 0.431
H -1.6997 2.1618 -1.2236 0.421
S -2.5231 -0.4889 2.4116 -0.406
C -3.8548 -1.2836 1.6155 0.207
C -4.8895 -1.7497 2.5018 -0.046
N -5.7001 -2.1025 3.2455 -0.627
C -4.0237 -1.4994 0.2698 0.296
S -2.9629 -1.0531 -1.0347 -0.420
C -5.2256 -2.1791 -0.1454 -0.029
N -6.1765 -2.7194 -0.5164 -0.615
Cl 7.5031 3.8133 -2.1101 -0.258
C 6.3731 4.2704 -0.8705 0.333
C 5.0225 4.0422 -1.0513 -0.522
C 4.1456 4.4183 -0.0456 1.394
C 4.5766 5.0003 1.1429 -0.365
C 3.6349 5.3582 2.2772 0.306
C 2.1382 5.4065 1.8861 -1.734
N 1.3937 4.1884 2.0804 0.513
C 0.6925 3.8101 3.2084 -0.390
C 0.1715 2.5798 2.9310 -0.937
N 0.5692 2.1824 1.6766 0.509
C 1.2741 3.1650 1.1978 0.182
O 3.8519 4.5607 3.4323 -0.423
C 4.1856 3.1890 3.2117 0.003
C 3.6072 2.3486 4.3045 -0.545
C 3.2669 1.0422 4.1436 0.812
Cl 3.4392 0.1190 2.7145 0.067
S 2.5555 0.3625 5.5486 -0.199
C 2.7410 1.8417 6.3946 -0.371
C 3.3103 2.8034 5.6218 -1.152
C 5.9491 5.2185 1.2731 0.318
Cl 6.5996 5.9628 2.7098 -0.234
C 6.8517 4.8635 0.2865 -0.680
H 4.6450 3.5668 -1.9473 -0.294
H 3.0934 4.2274 -0.2103 -0.429
H 3.8923 6.3725 2.5978 0.761
H 2.0337 5.7108 0.8437 0.495
H 1.6636 6.1775 2.4935 0.463
H 0.6330 4.4466 4.0736 0.400
H -0.4646 1.9552 3.5380 0.449
H 1.7024 3.1840 0.2060 -0.789
H 5.2793 3.0942 3.1904 0.444
H 3.8096 2.8305 2.2518 0.237
H 2.3971 1.9232 7.4126 0.419
H 3.4907 3.8177 5.9460 0.416
H 7.9081 5.0424 0.4221 0.449
```

Results
Energy above the lowest of the compared OMol25 structures with the same formula, charge and spin (kJ/mol): 72.6
HOMO energy (eV): -0.570
Net charge: -2
Max |F| (hartree/bohr): 0.0154

Record 2
Molecular formula: C38H26Cl5IrO4P2S
Method: DFT, ωB97M-V/def2-TZVPD

```
77
Properties=species:S:1:pos:R:3:mulliken_charge:R:1
Ir 0.7074 0.2945 0.8468 2.441
O -0.0576 3.5454 -0.2553 -0.639
C 0.2953 3.1369 0.8264 -0.168
O 1.2259 2.2201 1.0201 -0.746
C -0.2437 3.7348 2.1032 0.946
C -0.3510 5.1194 2.1735 -0.801
C -0.7510 5.7552 3.3370 -0.667
C -1.0742 4.9958 4.4520 -0.540
C -1.0173 3.6130 4.3905 -0.500
C -0.6048 2.9828 3.2246 0.464
S -1.2052 0.7707 1.9376 -0.499
H -0.0978 5.6886 1.2884 0.464
H -0.8130 6.8346 3.3731 0.396
H -1.3925 5.4780 5.3675 0.397
H -1.3006 3.0007 5.2366 0.453
Cl -2.5853 0.5669 -0.8830 -0.149
C -1.0908 0.5600 -1.7408 0.730
C 0.1163 0.4238 -1.0576 -1.360
C 1.2402 0.3051 -1.8537 0.881
Cl 2.6818 0.0348 -0.8980 -0.201
C 1.2668 0.3629 -3.2307 -0.260
Cl 2.7485 0.2065 -4.0870 -0.211
C 0.0519 0.5376 -3.8851 0.617
Cl 0.0099 0.6015 -5.6036 -0.201
C -1.1219 0.6210 -3.1374 0.002
Cl -2.6275 0.7716 -3.9590 -0.201
O 0.4103 -1.7766 0.8076 -0.499
P -0.1415 -2.5074 2.0153 1.067
C 0.3604 -1.6284 3.5116 -2.065
P 1.7633 -0.5065 3.0370 0.577
O -0.5889 1.5989 3.2724 -0.352
C 3.1147 -1.7205 2.8061 0.697
C 4.0639 -1.4892 1.8174 -0.687
C 5.0954 -2.3936 1.5961 -0.877
C 5.1856 -3.5383 2.3707 -0.539
C 4.2607 -3.7657 3.3831 -0.808
C 3.2379 -2.8602 3.6031 -0.036
~~~

Find "-1.2236 0.421" and "2.2518 0.237" in the block further up, and quote these two lines and those between.

H -1.6997 2.1618 -1.2236 0.421
S -2.5231 -0.4889 2.4116 -0.406
C -3.8548 -1.2836 1.6155 0.207
C -4.8895 -1.7497 2.5018 -0.046
N -5.7001 -2.1025 3.2455 -0.627
C -4.0237 -1.4994 0.2698 0.296
S -2.9629 -1.0531 -1.0347 -0.420
C -5.2256 -2.1791 -0.1454 -0.029
N -6.1765 -2.7194 -0.5164 -0.615
Cl 7.5031 3.8133 -2.1101 -0.258
C 6.3731 4.2704 -0.8705 0.333
C 5.0225 4.0422 -1.0513 -0.522
C 4.1456 4.4183 -0.0456 1.394
C 4.5766 5.0003 1.1429 -0.365
C 3.6349 5.3582 2.2772 0.306
C 2.1382 5.4065 1.8861 -1.734
N 1.3937 4.1884 2.0804 0.513
C 0.6925 3.8101 3.2084 -0.390
C 0.1715 2.5798 2.9310 -0.937
N 0.5692 2.1824 1.6766 0.509
C 1.2741 3.1650 1.1978 0.182
O 3.8519 4.5607 3.4323 -0.423
C 4.1856 3.1890 3.2117 0.003
C 3.6072 2.3486 4.3045 -0.545
C 3.2669 1.0422 4.1436 0.812
Cl 3.4392 0.1190 2.7145 0.067
S 2.5555 0.3625 5.5486 -0.199
C 2.7410 1.8417 6.3946 -0.371
C 3.3103 2.8034 5.6218 -1.152
C 5.9491 5.2185 1.2731 0.318
Cl 6.5996 5.9628 2.7098 -0.234
C 6.8517 4.8635 0.2865 -0.680
H 4.6450 3.5668 -1.9473 -0.294
H 3.0934 4.2274 -0.2103 -0.429
H 3.8923 6.3725 2.5978 0.761
H 2.0337 5.7108 0.8437 0.495
H 1.6636 6.1775 2.4935 0.463
H 0.6330 4.4466 4.0736 0.400
H -0.4646 1.9552 3.5380 0.449
H 1.7024 3.1840 0.2060 -0.789
H 5.2793 3.0942 3.1904 0.444
H 3.8096 2.8305 2.2518 0.237